(Listing)
'''
Material: Pr8Ho4Tm
Method: DFT, PBE
State: optimized geometry

- formation energy from the elements (eV/atom) = 0.191
- V (Å³/cell) = 451.3
- total moment (μB per atom) = 0.0000
- symmetry = R-3m, No. 166

Cell and atoms, written as POSCAR:
```
Pr8Ho4Tm
1.0
6.404 0.000 -3.455
-4.134 5.988 0.000
1.549 1.070 10.534
Ho Pr Tm
4 8 1
direct
0.500 0.500 0.000
0.000 0.000 0.000
0.500 0.000 0.000
0.000 0.500 0.000
0.961 0.211 0.712
0.039 0.249 0.288
0.501 0.751 0.712
0.423 0.212 0.635
0.039 0.789 0.288
0.499 0.249 0.288
0.577 0.788 0.365
0.961 0.751 0.712
0.000 0.500 0.500
```



Material: Pr2HoTm8
Method: DFT, PBE
State: optimized geometry

- formation energy from the elements (eV/atom) = 0.029
- V (Å³/cell) = 343.2
- total moment (μB per atom) = 0.0000
- symmetry = C2/m, No. 12

Cell and atoms, written as POSCAR:
```
Pr2HoTm8
1.0
-3.532 -2.967 1.914
-1.914 -2.414 -7.273
8.116 -4.268 1.843
Tm Ho Pr
8 1 2
direct
0.411 0.547 0.822
0.865 0.823 0.731
0.044 0.728 0.088
0.956 0.272 0.912
0.589 0.453 0.178
0.135 0.177 0.269
0.319 0.092 0.639
0.681 0.908 0.361
0.500 0.000 0.000
0.773 0.362 0.546
0.227 0.638 0.454
```



Material: Pr4Ho4Tm3
Method: DFT, PBE
State: optimized geometry

- formation energy from the elements (eV/atom) = 0.041
- V (Å³/cell) = 361.2
- total moment (μB per atom) = 0.0000
- symmetry = C2/m, No. 12

Cell and atoms, written as POSCAR:
```
Pr4Ho4Tm3
1.0
-1.805 1.609 2.669
1.913 -3.936 3.669
14.846 10.383 -1.061
Ho Pr Tm
4 4 3
direct
0.377 0.188 0.376
0.414 0.456 0.912
0.623 0.812 0.624
0.586 0.544 0.088
0.062 0.281 0.562
0.937 0.719 0.438
0.690 0.096 0.192
0.310 0.904 0.808
0.743 0.370 0.740
0.257 0.630 0.260
0.000 0.000 0.000
```



Material: Pr2HoTm12
Method: DFT, PBE
State: optimized geometry

- formation energy from the elements (eV/atom) = 0.119
- V (Å³/cell) = 942.0
- total moment (μB per atom) = 0.0000
- symmetry = Cmmm, No. 65

Cell and atoms, written as POSCAR:
```
Pr2HoTm12
1.0
-0.878 5.159 -3.965
-2.885 -5.560 -1.970
-22.759 5.707 7.769
Tm Pr Ho
24 4 2
direct
0.100 0.100 0.200
0.101 0.601 0.865
0.834 0.834 0.554
0.322 0.822 0.570
0.444 0.444 0.074
0.500 0.500 0.332
0.500 0.500 0.668
0.056 0.056 0.926
0.822 0.322 0.570
0.000 0.000 0.332
0.900 0.900 0.800
0.399 0.899 0.135
0.601 0.101 0.865
0.166 0.166 0.446
0.000 0.000 0.668
0.400 0.400 0.800
0.678 0.178 0.430
0.178 0.678 0.430
0.600 0.600 0.200
0.334 0.334 0.554
0.666 0.666 0.446
0.944 0.944 0.074
0.556 0.556 0.926
0.899 0.399 0.135
0.454 0.954 0.728
0.046 0.546 0.272
0.954 0.454 0.728
0.546 0.046 0.272
0.500 0.000 0.000
0.000 0.500 0.000
```



Material: Pr2HoTm5
Method: DFT, PBE
State: optimized geometry

- formation energy from the elements (eV/atom) = 0.029
- V (Å³/cell) = 505.6
- total moment (μB per atom) = 0.0000
- symmetry = Pbam, No. 55

Cell and atoms, written as POSCAR:
```
Pr2HoTm5
1.0
5.021 0.000 0.000
0.000 7.095 0.000
0.000 0.000 14.191
Pr Tm Ho
4 10 2
direct
0.500 0.252 0.625
0.500 0.248 0.125
0.500 0.752 0.875
0.500 0.748 0.375
0.000 0.498 0.250
0.000 0.500 0.500
0.000 0.502 0.750
0.500 0.248 0.375
0.500 0.748 0.125
0.000 0.998 0.250
0.500 0.252 0.875
0.000 0.000 0.000
0.000 0.002 0.750
0.500 0.752 0.625
0.000 0.000 0.500
0.000 0.500 0.000
```



Material: PrHo3Tm2
Method: DFT, PBE
State: optimized geometry

- formation energy from the elements (eV/atom) = 0.024
- V (Å³/cell) = 377.2
- total moment (μB per atom) = 0.0000
- symmetry = C2/c, No. 15

Cell and atoms, written as POSCAR:
```
PrHo3Tm2
1.0
-1.977 -5.127 4.474
3.795 -3.915 -2.809
7.378 4.827 3.182
Tm Ho Pr
4 6 2
direct
0.544 0.082 0.335
0.208 0.418 0.665
0.456 0.918 0.665
0.792 0.582 0.335
0.294 0.585 0.337
0.043 0.085 0.337
0.623 0.250 0.000
0.377 0.750 0.000
0.706 0.415 0.663
0.957 0.915 0.663
0.126 0.250 0.000
0.874 0.750 0.000
```



Material: PrHoTm4
Method: DFT, PBE
State: optimized geometry

- formation energy from the elements (eV/atom) = 0.280
- V (Å³/cell) = 198.9
- total moment (μB per atom) = 0.2606
- symmetry = F-43m, No. 216

Cell and atoms, written as POSCAR:
```
PrHoTm4
'''
(Activity)
Your job: retype the material further up from the line with "0.900 0.900" to the end with every line break kept.
(Outcome)
0.900 0.900 0.800
0.399 0.899 0.135
0.601 0.101 0.865
0.166 0.166 0.446
0.000 0.000 0.668
0.400 0.400 0.800
0.678 0.178 0.430
0.178 0.678 0.430
0.600 0.600 0.200
0.334 0.334 0.554
0.666 0.666 0.446
0.944 0.944 0.074
0.556 0.556 0.926
0.899 0.399 0.135
0.454 0.954 0.728
0.046 0.546 0.272
0.954 0.454 0.728
0.546 0.046 0.272
0.500 0.000 0.000
0.000 0.500 0.000
```



Material: Pr2HoTm5
Method: DFT, PBE
State: optimized geometry

- formation energy from the elements (eV/atom) = 0.029
- V (Å³/cell) = 505.6
- total moment (μB per atom) = 0.0000
- symmetry = Pbam, No. 55

Cell and atoms, written as POSCAR:
```
Pr2HoTm5
1.0
5.021 0.000 0.000
0.000 7.095 0.000
0.000 0.000 14.191
Pr Tm Ho
4 10 2
direct
0.500 0.252 0.625
0.500 0.248 0.125
0.500 0.752 0.875
0.500 0.748 0.375
0.000 0.498 0.250
0.000 0.500 0.500
0.000 0.502 0.750
0.500 0.248 0.375
0.500 0.748 0.125
0.000 0.998 0.250
0.500 0.252 0.875
0.000 0.000 0.000
0.000 0.002 0.750
0.500 0.752 0.625
0.000 0.000 0.500
0.000 0.500 0.000
```



Material: PrHo3Tm2
Method: DFT, PBE
State: optimized geometry

- formation energy from the elements (eV/atom) = 0.024
- V (Å³/cell) = 377.2
- total moment (μB per atom) = 0.0000
- symmetry = C2/c, No. 15

Cell and atoms, written as POSCAR:
```
PrHo3Tm2
1.0
-1.977 -5.127 4.474
3.795 -3.915 -2.809
7.378 4.827 3.182
Tm Ho Pr
4 6 2
direct
0.544 0.082 0.335
0.208 0.418 0.665
0.456 0.918 0.665
0.792 0.582 0.335
0.294 0.585 0.337
0.043 0.085 0.337
0.623 0.250 0.000
0.377 0.750 0.000
0.706 0.415 0.663
0.957 0.915 0.663
0.126 0.250 0.000
0.874 0.750 0.000
```



Material: PrHoTm4
Method: DFT, PBE
State: optimized geometry

- formation energy from the elements (eV/atom) = 0.280
- V (Å³/cell) = 198.9
- total moment (μB per atom) = 0.2606
- symmetry = F-43m, No. 216

Cell and atoms, written as POSCAR:
```
PrHoTm4